
With an iPhone in one pocket and an iPad in another, my shoulder bag allows me to work pretty much anywhere. I work in the car (Bluetooth headphone when I’m driving; iPad when my wife drives). I grab a free half-hour and knock items off my OmniFocus master task management system, which syncs, completely and reliably, the lists on my iPhone, iPad, and iMac. I read a lot of books and articles. I suppose my life runs toward busier-than-average. After a vacation week without email, and the use of iPad only to homebrew detours around nasty interstate backups, I’ve given some thought to the clear benefit of unitasking.

My auto-correct just underlined the word “unitasking” because the computer did not recognize it. I checked with Merriam Webster; my search for “unitasking” returned “the word you’ve entered is not in the dictionary.” When I checked “multitasking,” the first sense read: “the concurrent performance of several jobs by a computer” and the second read, “the performance of multiple tasks at one time.”

Google Search: "multitask" returned these and many other images.

Google Search: “multitask” returned these and many other images.

Of course, computers and humans multitask all the time. Computers run multiple operations at high speeds, some simultaneously, some sequentially. As I write, I run my fingers along the keys and press buttons at surprisingly high speeds; I read what I am writing on the screen; and I think ahead to the next few words, and further out, to the next setup for the next idea; I am aware of grammar, clarity, flow and word choices; and I make corrections and adjustments along the way. As I write, I am also aware of the total word count, keeping my statements brief because I am writing for the internet (so far so good–my current word count is 279).

To ease the writing process, I listen to music. For six dollars, I recently purchased a 6-LP box of Bach Cantatas on the excellent Archiv label, and I am becoming familiar with them by playing the music in the background as I write. I do not find this distracting, but the moment the telephone rings when I’m in mid-thought, I become instantly grouchy.

I wonder why.

When I write, I focus on the writing, but writing is not a continuous process as, for example, hiking a mountain might be. I write for a few seconds, perhaps cast a phrase, then pause, listen to the soprano or the horns for a moment, then write a few sentences in burst of energy, then pause again to collect thoughts. I am thinking sequentially, not requiring my brain or body to do several things at one time. So far, this morning, the scheme seems to be working (441 words so far).

Do I multitask?

You betcha, but not when I write because writing requires so much of my focused attention.

Just before vacation, I attended a meeting with two dozen other people, all seated for discussion around a large rectangular hotel conference room in a Chicago airport hotel. Most of the participants were CEOs or people with similar responsibilities. From time to time, half of the people in the room were sufficiently engaged in the discussion to lift their eyes from their iPads (few used computers; most used iPads). Most of the time, just a few people were deeply engaged. Part of the problem: the meeting was similar to the meeting held last summer in the same location discussing the same topics. If there’s low engagement, then the active brain fills-in with activities promising higher degrees of engagement, and the iPad provides an irresistible alternative to real life. Of course, if more of the people looked up from their iPads and engaged in the conversation not-quite-happening in the room where they are seated, it might well be worthy of more of everyone’s attention. This raises the stakes for those who plan such meetings–if the meeting does not offer sufficient nourishment, minds drift.

Once again, that makes me wonder about the value of multitasking. Each of spent a good $1,000 to meet in Chicago, to discuss matters of importance in the company of one another. During the few times when the whole group was fully engaged, the engagement was not the result of multitasking. Instead, there was a single topic presented, and a single, well-managed discussion. In short, we engaged in a unitasking activity.

One final though before we all drift back into our bloated to-do lists. On vacation, I like to read a good story, well-crafted fiction by an author who really knows how to write. This time, I tried Jeffrey Lent’s A Peculiar Grace. Reading in the car, in the hotel room late into the night, whenever a good half hour’s free time presented itself, I found myself thinking about the characters, the story, the setting, the overall feeling of the book, even when I was not reading it. This was accomplished, of course, by the unitasking that a good book demands and deserves.

[Inserted here: materials data]
┌──
one.
DFT (PBE) results for a relaxed HoTmTl crystal.

Lattice parameters (Å, degrees): 5.1369 5.1369 5.1369 60.00 60.00 60.00
Closest atoms and distances in Å follow each position.
Element x y z (fractional)
Ho  0.0000  0.0000  0.0000  4 Tl 3.15
Tm  0.5000  0.5000  0.5000  4 Tl 3.15
Tl  0.7500  0.7500  0.7500  4 Ho 3.15, 4 Tm 3.15

---

two.
DFT (PBE) results for a relaxed HoTmTl crystal.

Lattice parameters (Å, degrees): 5.3672 5.3672 6.6679 90.00 90.00 120.00
Closest atoms and distances in Å follow each position.
Element x y z (fractional)
Ho  0.3333  0.6667  0.2500  5 Tl 3.10-3.33
Ho  0.6667  0.3333  0.7500  5 Tl 3.10-3.33
Tm  0.0000  0.0000  0.0000  2 Tm 3.33, 6 Tl 3.52, 6 Ho 3.52
Tm  0.0000  0.0000  0.5000  2 Tm 3.33, 6 Tl 3.52, 6 Ho 3.52
Tl  0.3333  0.6667  0.7500  5 Ho 3.10-3.33
Tl  0.6667  0.3333  0.2500  5 Ho 3.10-3.33

---

three.
DFT (PBE) results for a relaxed HoTmTl crystal.

Lattice parameters (Å, degrees): 7.2638 7.2638 7.2638 151.85 151.85 40.24
Closest atoms and distances in Å follow each position.
Element x y z (fractional)
Ho  0.0000  0.0000  0.0000  4 Tl 3.32, 4 Tm 3.52, 4 Ho 3.53
Tm  0.3186  0.3186  0.0000  4 Tl 3.30, 4 Ho 3.52, 4 Tm 3.53
Tl  0.6605  0.6605  0.0000  4 Tm 3.30, 4 Ho 3.32, 4 Tl 3.53

---

Top of the stability list: two, leading by 0.018 eV/atom.

---

one.
DFT (PBE) results for a relaxed HoTmTl crystal.

Lattice parameters (Å, degrees): 5.3601 5.3601 6.6650 90.00 90.00 120.00
Closest atoms and distances in Å follow each position.
Element x y z (fractional)
Ho  0.0000  0.0000  0.0000  2 Ho 3.33, 6 Tm 3.51, 6 Tl 3.51
Ho  0.0000  0.0000  0.5000  2 Ho 3.33, 6 Tl 3.51, 6 Tm 3.51
Tm  0.3333  0.6667  0.2500  5 Tl 3.09-3.33
Tm  0.6667  0.3333  0.7500  5 Tl 3.09-3.33
Tl  0.3333  0.6667  0.7500  5 Tm 3.09-3.33
Tl  0.6667  0.3333  0.2500  5 Tm 3.09-3.33

---

two.
DFT (PBE) results for a relaxed HoTmTl crystal.

Lattice parameters (Å, degrees): 6.6670 6.6670 4.8884 90.00 90.00 90.85
Closest atoms and distances in Å follow each position.
Element x y z (fractional)
Ho  0.1878  0.8122  0.0000  3 Tl 2.97-3.03
Ho  0.8122  0.1878  0.0000  3 Tl 2.97-3.03
Tm  0.3131  0.3131  0.5000  3 Tl 2.93-3.01
Tm  0.6869  0.6869  0.5000  3 Tl 2.93-3.01
Tl  0.0000  0.0000  0.5000  2 Tm 2.93, 4 Ho 3.03
Tl  0.5000  0.5000  0.0000  2 Ho 2.97, 4 Tm 3.01

---

Top of the stability list: one, leading by 0.497 eV/atom.

---

one.
DFT (PBE) results for a relaxed Ho5Tm4Tl crystal.

Lattice parameters (Å, degrees): 9.3969 9.3969 10.9212 118.25 118.25 21.50
Closest atoms and distances in Å follow each position.
Element x y z (fractional)
Ho  0.0000  0.0000  0.0000  6 Tm 3.38-3.56, 6 Ho 3.51-3.61
Ho  0.3111  0.3111  0.9175  3 Tm 3.35-3.71, 6 Ho 3.44-3.61
Ho  0.3373  0.3373  0.3616  2 Tl 3.16, 4 Tm 3.25-3.53, 4 Ho 3.44-3.51
Ho  0.6627  0.6627  0.6384  2 Tl 3.16, 4 Tm 3.25-3.53, 4 Ho 3.44-3.51
Ho  0.6889  0.6889  0.0825  3 Tm 3.35-3.71, 6 Ho 3.44-3.61
Tm  0.1593  0.1593  0.3550  4 Ho 3.25-3.56, 4 Tm 3.50-3.51
└──

So why isn’t unitasking in the dictionary? And what do we need to do in order to bring this word into common use, and this way of thinking into common practice?

The Brilliant Douglas Engelbart

Douglas Engelbart passed away recently. His name may be unfamiliar. His work is not.

Engelbart was an engineer who invented, among other things, your computer’s mouse, and, by extension, his work made the trackpad possible as well. In his conception, the mouse was a box with several buttons on top and the ability to move what he called an on-screen “tracking point.” In 1968, this idea was radically new. I encourage you to watch Mr. Engelbart in action by screening the video, now widely known as “The Mother of All Demos” in the hardware and software community because of all that he presents. Among the innovations: a video projection system, hyperlinking, WSYWIG (what you see is what you get–the basis of word processing and more), teleconferencing and more. He’s clearly having a wonderful time with this demo, very proud of what has been accomplished, keen on the possibilities for a future that we all now accept as routine.

Douglas Englebart in "The Mother of All Demos," as this hour-plus presentation has come to be known.

Douglas Engelbart in “The Mother of All Demos,” as this hour-plus presentation has come to be known.

You’re actually able to point at the information you’re trying to retrieve, and then move it

Intrigued? Here’s a look at the input station. On the right is the mouse; at the center is the keyboard; and on the left is an interesting five-switch input device that allows quick typing by holding down each of the five keys in various combinations to enter characters without using the keyboard (some of these ideas were later revised for current trackpad use).

A very early version of a computer mouse as explained by its inventor, Douglas Engelbart.

A very early version of a computer mouse as explained by its inventor, Douglas Engelbart.

### Data records from another source follow
'''
Model A:
Ac2Tb2Ho: relaxed, PBE-GGA.

Output
- Space-group type: No. 139
- Fermi-level density of states: 1.89 states/eV/atom

abc: 8.9417 8.9417 8.9417
angles: 148.17 148.17 45.63
Sites, in units of the cell vectors:
1 Ac 0.2500 0.7500 0.5000
2 Ac 0.7500 0.2500 0.5000
3 Tb 0.0916 0.0916 0.0000
4 Tb 0.9084 0.9084 0.0000
5 Ho 0.5000 0.5000 0.0000

***

Model B:
Ac2Tb2Ho: relaxed, PBE-GGA.

Output
- Space-group type: No. 15
- Fermi-level density of states: 1.67 states/eV/atom

abc: 8.8109 8.8109 7.0983
angles: 103.40 103.40 43.87
Sites, in units of the cell vectors:
1 Ac 0.1082 0.2845 0.1534
2 Ac 0.2845 0.1082 0.6534
3 Ac 0.7155 0.8918 0.3466
4 Ac 0.8918 0.7155 0.8466
5 Tb 0.3234 0.4902 0.5512
6 Tb 0.4902 0.3234 0.0512
7 Tb 0.5098 0.6766 0.9488
8 Tb 0.6766 0.5098 0.4488
9 Ho 0.0907 0.9093 0.2500
10 Ho 0.9093 0.0907 0.7500

***

If we sort the structures by their calculated energies, the order from most to least stable is model B, model A.
'''

Still unsure about whether this video is worth your time? Think of it as a TED Talk, circa 1968.

Hungry for more? Watch this video on the Doug Engelbart Institute website. Here, he speaks about collective learning and the need for a central knowledge repository. The video was recorded in 1998, shortly after the internet first became popular. His vision recalls the era when we all dreamed about what the internet might someday be.

The complexity and urgency of the problems faced by us earth-bound humans are increasing much faster than are our aggregate capabilities for understanding and coping with them. This is a very serious problem; and there are strategic actions we can take, collectively. – Doug Engelbart

Outsourcing the Human Brain

(Copyright 2006 by Zelphics [Apple Bushel])

(Copyright 2006 by Zelphics [Apple Bushel])

Before we start outsourcing, let’s prepare an inventory and analysis with this concept in mind:

Our intelligence has enabled us to overcome the restrictions of our biological heritage and to change ourselves in the process. We are the only species that does this.”

And, this one:

We are capable of hierarchical thinking, of understanding a structure composed of diverse elements arranged in a pattern, representing that arrangement with a symbol, and then using that symbol as an element in an even more elaborate configuration.”

Simple though it may sound, we may think in terms of not just one apple, but, say, a bushel filled with, say, 130 medium sized apples, enough to fill about 15 apple pies.

We call this vast array of recursively linked ideas knowledge. Only homo sapiens have a knowledge base that itself evolves, grows exponentially, and is passed from one generation to another.

Remember Watson, the computer whose total Jeopardy! score more than doubled the scores of its two expert competitors? He (she, it?) “will read medical literature (essentially all medical journals and leading medical blogs) to become a master diagnostician and medical consultant. Is Watson smart, or simply capable of storing and accessing vast stores of data? Well, that depends upon what you mean by the word “smart.” You see, “the mathematical techniques that have evolved in the field of artificial intelligence (such as those used in Watson and Siri, the iPhone assistant) are mathematically very similar to the methods that biology evolved in the form of the neocortex (from Science Daily: “[the neocortex is part of the brain and] is involved in higher functions such as sensory perception, generation of motor commands, spatial reasoning, conscious thought, and in humans, language.”

Kurzweil bookGenius author Ray Kurzweil has spent a lifetime studying the human brain, and, in particular, the ways in which the brain processes information. You know his work: it is the basis of the speech recognition we now take for granted in Siri, telephone response systems, Dragon, and other systems. No, it’s not perfect. Human speech and language perception are deeply complicated affairs. In his latest book, How to Create a Mind: The Secret of Human Thought Revealed, Kurzweil first deconstructs the operation of the human brain, then considers the processing and storage resources required to replicate at least some of those operations with digital devices available today or likely to be available in the future. At first, this seems like wildly ridiculous thinking. A hundred pages later, it’s just an elaborate math exercise built on a surprisingly rational foundation.

Kurzweil-headshotMuch of Kurzweil’s theory grows from his advanced understanding of pattern recognition, the ways we construct digital processing systems, and the (often similar) ways that the neocortex seems to work (nobody is certain how the brain works, but we are gaining a lot of understanding as result of various biological and neurological mapping projects). A common grid structure seems to be shared by the digital and human brains. A tremendous number of pathways turn or or off, at very fast speeds, in order to enable processing, or thought. There is tremendous redundancy, as evidenced by patients who, after brain damage, are able to relearn but who place the new thinking in different (non-damaged) parts of the neocortex.

Where does all of this fanciful thinking lead? Try this:

When we augment our own neocortex with a synthetic version, we won’t have to worry about how much additional neocortex can physically fit into our bodies and brains as most of it will be in the cloud, like most of the computing we use today.”

What’s more:

In order for a digital neocortex to learn a new skill, it will still require many iterations of education, just as a biological neocortex does today, but once a digital neocortex somewhere and at some time learns something, it can share that knowledge with every other digital neocortex without delay. We can each have our own neocortex extenders in the cloud, just as we have our own private stores of personal data today.”

So the obvious question is: how soon is this going to happen?

[Records of crystals, kept here for reference]
~~~
Material: Ni2SbRh
Method: DFT, PBE
State: optimized geometry

a = 4.355 Å, b = 2.982 Å, c = 4.542 Å
α = 86.11°, β = 90.00°, γ = 90.00°
Atoms (fractional coordinates):
Ni1 0.000 0.966 0.002
Ni2 0.000 0.534 0.498
Rh1 0.500 0.250 0.250
Sb1 0.500 0.750 0.750

Summary:
Energy relative to the elements, uncorrected   1.9 kcal/mol of atoms

~~~~~

The following is a DFT calculation (GGA+U) of a relaxed CsZnCr2O8 crystal.

```
CsZnCr2O8
1.0
-3.436 -3.019 -2.704
-2.992 -3.565 2.563
-8.311 3.802 1.094
Cs Zn Cr O
1 1 2 8
Direct
0.500 0.500 0.500
0.000 0.000 0.000
0.267 0.267 0.199
0.733 0.733 0.801
0.204 0.204 0.389
0.610 0.231 0.140
0.796 0.796 0.611
0.019 0.610 0.140
0.981 0.390 0.860
0.231 0.019 0.140
0.769 0.981 0.860
0.390 0.769 0.860
```
~~~
[End of the records of crystals]



Skeptical? Click the image and watch the 2009 TED Talk by Henry Markham. It’s called “A Brain in a Supercomputer.”

In terms of our understanding, this video is already quite old. Kurzweil: “The spatial resolution of noninvasive scanning of the brain is improving at an exponential rate.” In other words, new forms of MRI and diffusion tractography (which traces the pathways of fiber bundles inside the brain) are among the many new tools that scientists are using to map the brain and to understand how it works. In isolation, that’s simply fascinating. Taken in combination with equally ambitious, long-term growth in computer processing and storage, our increasing nuanced understanding of brain science makes increasingly human-like computing processes more and more viable. Hence, Watson on Jeopardy! or if you prefer, Google’s driver-less cars that must navigate through so many real-time decisions and seem to be accomplishing these tasks with greater precision and safety than their human counterparts.

Is the mind a computer? This is an old argument, and although Kurzweil provides both the history and the science / psychology behind all sides of the argument, nobody is certain. The tricky question is defining consciousness, and, by extension, defining just what is meant by a human mind. After considering these questions through the Turing Test, ideas proposed by Roger Penrose (video below), faith and free will, and identity, Kurzweil returns to the more comfortable domain of logic and mathematics, filling the closing chapter with charts that promise the necessary growth in computing power to support a digital brain that will, during the first half of this century, redefine the ways we think (or, our digital accessory brains think) about learning, knowledge and understanding.

Closing out, some thoughts from Penrose, then Kurzweil, both on video:

The Multiplier Effect

Quickly now… If you multiply 633 by 11, what’s the answer?

No doubt, you recognize the pattern, and you may recall the mental math process:

633 x 10, plus 633 x 1, or 6,330 plus 633, or 6,963, which is the answer (or, in terms used by math teachers, the “product”).

There is another way to solve the problem, a faster way that assures fewer computational errors, and does not involve any sort of digital or mechanical device. It does, however, involve a simple rule and a different way to write the problem down.

The rule is: “write down the number, add the neighbor.” The asterisk just above each number is there only to help you to focus. If you prefer, think of it as a small arrow.

Here’s how it works:

Mult by 11

Try multiplying 942 x 11  and you’ll quickly get the hang of it.

Do it once more, this time with a much larger number: 8,562,320 x 11. It goes quickly, as you’ll see.

Multiplying by 12 is just as easy, but the rule changes to: “double the number, add the neighbor.” Here, my explanation includes specific numbers.

Mult by 12

In fact, there is a similar rule for multiplication by any number (1-12). And there are rules for quickly adding long, complicated columns of numbers, as there are for division, square roots and more.

These rules were developed by a man facing his own demise in the Nazi camps during the Second World War. Danger was nothing new to him…this is the story and the enduring legacy of Jakow Trachtenberg, who first escaped the wrath of the Communists as he escaped his native Russia, then became a leading academic voice for world peace. His book, Das Friedensministerium (The Ministry of Peace), was read by FDR and other world leaders. His profile was high; capture was inevitable. He made it out of Austria, got caught in Yugoslavia, and was sentenced to death at a concentration camp. To maintain his sanity, Trachtenberg developed a new system for mathematical calculation. Paper was scarce, so he used it mostly for proofs. The rest, he kept in his head.

Madame Trachtenberg stayed nearby, in safety. She bribed officials, pulled strings, and managed to get Jakow moved to Dresden, which was a mess, allowing him to escape. Then, he was caught again, and was moved to Trieste. More bribes and coercion from Madame. He escaped. The couple maneuvered into a more normal existence beginning at refugee camp in Switzerland. By 1950, they were running the Mathematical Institute in Zurich, teaching young students a new way to think about numbers. A system without multiplication tables. A system based upon logic. A system that somehow survived.

A system that, against all odds, made it into my elementary classroom. One classroom in the New York City school district. For one year. The parents were certain that the teacher was making a terrible mistake, that the people in my class, myself included, would never be able to do math in the conventional way again. Of course, we learned a lot more than an alternative from of arithmetic.

And now, after decades out of print, in an era when arithmetic hardly matters because of calculators and computers, the original book is back in print. The brilliance of system remains awesome, and the book is worth reading just to understand how Trachtenberg conceived an entirely fresh approach under the most extraordinary circumstances.
